Short Answer
  • What is Ethnocentric Monoculturalism?

Individual, institutional, & cultural expression of superiority of one group’s cultural heritage over another’s


Identify and describe the five stages of the Cross Black Identity Development Model?

  • Pre-encounter: embracing dominant culture; consciously or unconsciously devalue black race; strong desire to assimilate into white society; self-hatred, low self-esteem, poor mental health
  • Encounter: first, encounters a profound crisis that challenges pre-encounter thinking; second, begins to reinterpret the world – shift in worldview
  • Immersion – emersion: withdraws from dominant culture and becomes immersed in African American culture; an increasing sense of pride
  • Internalization: global anti-white feelings begin to subside; becomes more flexible and tolerant and more bi-cultural or multicultural
  • Internalization- commitment: commitment that individuals have toward social change, social justice and civil rights

What are the five concepts listed in your book that help to conceptualize Ethnocentric Monoculturalism?

Belief in Superiority

Belief in Inferiority of Others

Power to Impose Standards

Manifestation in Institutions

The Invisible Veil 

  • What are the five concepts listed in your book that help to conceptualize Ethnocentric Monoculturalism? Explain these concepts.

Belief in Superiority

The standards for must statuses is based on White Euro- American Culture. The standards on beauty is based on those with blonde hair blue eyes. Christianity is the standard religion. Heterosexuality is the standard sexual orientation. Control of emotions falls under the belief of Superiority as well as the belief on individualism.

Belief in inferiority

  • Dark complexion
  • Black hair
  • Brown eyes
  • Non-Christian religion
  • Collectivism
  • Present time orientation
  • Shared wealth

Power to impose Standards 

# Here the piece breaks off for calculated molecules
- - -
This record from the OMol25 dataset describes a molecular structure, C45H34BrN4OP2Ru in a non-equilibrium geometry. The level of theory is ωB97M-V/def2-TZVPD.

Total charge: 0
2S+1: 6
Energy, Eh: -5380.89942
Strongest force on any atom, eV Å⁻¹: 2.174
E_LUMO (alpha / beta), eV: 0.1732 / -2.9882
HOMO-LUMO gap (alpha / beta), eV: 7.0 / 5.1
ΔE to the lowest compared entry with this formula, charge and spin, kcal/mol: 7.52

```
88
C45H34BrN4OP2Ru, DFT ωB97M-V/def2-TZVPD
Ru 0.376 0.545 -0.712
C 1.411 2.307 1.994
P 0.397 2.615 0.466
C 0.930 4.171 -0.277
C 0.138 4.621 -1.333
C 0.522 5.730 -2.059
C 1.702 6.384 -1.745
C 2.487 5.942 -0.692
C 2.107 4.832 0.042
C -1.138 3.108 1.335
C -2.116 2.147 1.555
C -3.246 2.450 2.290
C -3.407 3.725 2.803
C -2.432 4.688 2.596
C -1.298 4.384 1.868
C 0.962 0.973 2.474
C 0.804 0.446 3.761
C 0.281 -0.837 3.605
C 0.132 -1.043 2.229
C -0.471 -2.158 1.456
P -1.608 -1.331 0.229
C -3.189 -1.098 1.105
C -3.445 -1.350 2.448
C -4.718 -1.134 2.952
C -5.727 -0.645 2.137
C -5.463 -0.359 0.805
C -4.200 -0.577 0.295
C -2.128 -2.698 -0.862
C -2.776 -3.810 -0.330
C -3.217 -4.816 -1.169
C -3.007 -4.718 -2.536
C -2.378 -3.604 -3.068
C -1.945 -2.588 -2.234
N 0.552 0.060 1.567
H 1.235 3.088 2.740
H 2.474 2.301 1.729
H -0.768 4.080 -1.581
H -0.087 6.068 -2.884
H 2.019 7.231 -2.336
H 3.411 6.447 -0.449
H 2.733 4.470 0.846
H -1.989 1.157 1.133
H -3.999 1.695 2.458
H -4.295 3.972 3.364
H -2.555 5.681 3.004
H -0.537 5.134 1.700
H 1.061 0.947 4.674
H 0.025 -1.533 4.382
H -0.993 -2.873 2.096
H 0.275 -2.690 0.848
H -2.666 -1.707 3.105
H -4.927 -1.350 3.991
H -6.711 -0.461 2.543
H -6.239 0.039 0.168
H -3.967 -0.340 -0.735
H -2.945 -3.868 0.737
H -3.728 -5.674 -0.754
H -3.346 -5.511 -3.186
H -2.233 -3.521 -4.135
H -1.469 -1.702 -2.635
O 6.361 2.029 0.259
C 5.125 1.529 0.053
C 4.762 0.236 0.465
C 3.476 -0.199 0.233
N 2.556 0.577 -0.334
C 2.873 1.822 -0.692
Br 1.887 2.124 -2.906
C 4.164 2.324 -0.556
H 6.935 1.357 0.648
H 5.476 -0.413 0.955
H 3.169 -1.190 0.540
H 4.405 3.319 -0.892
N -2.183 1.314 -2.385
C -1.220 1.052 -1.814
N 4.658 -7.845 -3.489
C 4.071 -6.882 -3.276
C 3.361 -5.697 -2.987
C 3.410 -5.170 -1.693
C 2.725 -4.016 -1.394
C 1.987 -3.354 -2.385
C 1.927 -3.896 -3.675
C 2.606 -5.056 -3.974
C 1.347 -2.145 -2.058
C 0.796 -1.104 -1.725
H 3.992 -5.675 -0.935
H 2.752 -3.612 -0.391
H 1.348 -3.395 -4.435
H 2.566 -5.476 -4.969
```

Atomic partial charges in e from the Löwdin method, atoms 1 to 6: number 1, Ru, carries 0.96; number 2, C, carries -0.20; number 3, P, carries 0.98; number 4, C, carries -0.41; number 5, C, carries -0.13; number 6, C, carries -0.07

=====

(1)
Computed, not measured: a structure of composition C30H31BrF4GeN4OPd in a non-equilibrium geometry, with ωB97M-V/def2-TZVPD.

Positions of all 73 atoms, in Å:
Pd: 0.547 0.719 0.068
C: 1.993 -5.983 -3.558
C: 2.421 -4.684 -4.249
C: 1.495 -4.422 -5.442
C: 3.843 -4.871 -4.780
C: 2.329 -3.519 -3.253
C: 1.116 -3.170 -2.689
C: 1.056 -2.145 -1.756
Br: -0.682 -1.757 -1.074
C: 2.164 -1.415 -1.304
- - -

The dominant group possesses the power to impose its standards and beliefs on the less powerful group.  Consider following groups (white vs. black) (heterosexuality vs. homosexuality)

Manifestation in Institutions

Ethnocentric values and beliefs are manifested in the programs policies, practices, structures, and institutions of the society.  For example chain of command.

Belief in Superiority

The standards for must statuses is based on White Euro- American Culture. The standards on beauty is based on those with blonde hair blue eyes. Christianity is the standard religion. Heterosexuality is the standard sexual orientation. Control of emotions falls under the belief of Superiority as well as the belief on individualism.

Belief in inferiority

  • Dark complexion
  • Black hair
  • Brown eyes
  • Non-Christian religion
  • Collectivism
  • Present time orientation
  • Shared wealth

Power to impose Standards 

The dominant group possesses the power to impose its standards and beliefs on the less powerful group.  Consider following groups (white vs. black) (heterosexuality vs. homosexuality)

Manifestation in Institutions

Ethnocentric values and beliefs are manifested in the programs policies, practices, structures, and institutions of the society.  For example chain of command.

  • The Invisible Veil
  •  People are all products of cultural conditioning; their values & beliefs create a veil that exists outside of conscious awareness  
  • What have studies consistently revealed about individuals who are different physically and adhere to different cultural beliefs?

Studies reveal that individuals who are different physically and adhere to cultural differences are more likely to be evaluated negatively in schools and workplaces. Culturally different individuals may be seen as less intelligent less qualified within social settings

  • Explain White Privilege
  • Invisible knapsack of unearned assets that can be cashed in each day for advantages not given to those who do not have such privilege 
  • People identified as a white are perceived more favorably and often are afforded easier access to the principles and rewards of lag

Identify and describe the three differences documented in the study of Chinese American students.

  • Traditionalist – internalizes conventional Chinese customs and values; resists acculturation
  • Marginal-person – attempts to assimilate and acculturate into white society; rejects traditional Chinese ways; internalizes dominant culture’s negativity toward minority groups; possible self-hatred
  • Asian American – in the process of forming a positive identity, who is ethnically and politically aware and who is becoming increasingly bicultural
  • What were three things African Americans were supposed to do in order to survive during slavery and times of segregation? Critically think of how these three things play into society today from this particular minority group.
  • To express aggression indirectly
  • Defense mechanism w/ which people of color protect themselves from harm & exploitation 
  • To read the thoughts of others while hiding their own
  • Individuals have mixed feelings into saying what’s on their mind because they know the retaliation they will receive from it 
  • To engage in ritualized accommodating-subordinating behaviors designed to create as few waves as possible
  • Forcing oneself to conform to set rules in order to fit and create less problems
  • Lose a piece of self-identity to fit someone’s ideal perception  
  • What three categories can microaggressive acts fall into? How are they different from each other?
  • Microassaults- explicit, derogatory, and violent verbal or nonverbal attacks that are intended to hurt, degrade, and discriminate against a person (basically old fashion racism. Example: a muslim being attacked verbally after 9/11
  • Microinsults- demeaning remarks that convey rudeness. These are hidden assaults that are outside of the perpetrators awareness. Example: A tall African American asked if he plays basketball simply because he is black and tall
  • Microinvalidations-are comments that dismiss the thoughts, feelings, or experiential reality of the target person or group. These insults are outside of the awareness of the perpetrator. Example: a person claiming they do not see color.
  • What are some ways a professor can limit microaggressions from occurring in a classroom?
  • Professors must acknowledge that they cannot possibly know everything about every sociodemographic population
  • What an individual knows does not apply to everyone
  • Not to paraphrase or alter a student’s description of an event
  • Address microaggressions; instead of being bystanders and not educating students on them
  • Describe Institutional Racism.

Set of policies, priorities, and accepted normative patterns designed to subjugate and oppress individuals and groups and to force them to be dependent on the larger society.  Institutional status has fostered the enactment of discriminatory statutes, the selective enforcement of law blocking opportunity


Identify and describe the four types with respect to Japanese Americans.

  • Positive-positive: identifies with dominant and Japanese culture without conflict
  • Negative-positive: rejection of white culture and acceptance of Japanese culture with role conflicts
  • Positive-negative: accepts white culture and rejects Japanese culture with role conflicts
  • Negative-negative: rejects both cultures

What are the six themes of gender microaggressions

  • Sexual objection (a women is treated as a sexual object)
  • Second class citizen (men are given preferential treatment over women)
  • Assumptions of inferiority (women are assumed to be less competent than men, either physically or intellectually)
  • Denial of the reality of the sexism (occurs when men tell women that they are exaggerating the frequency of gender-based remarks)
  • Assumptions about traditional gender roles
  • Use of sexist language (occurs when language is used to demean women)
  • Denial of individual sexism
  • What are the psychological dilemmas that are a part of the dynamics of microaggressions? Explain these Dilemmas.
  • The class of sociodemographic realities
  • The invisibility of unintentional expressions of bias- the individual struggles with how to prove that a microagression has occurred
  • The perceived minimal harm of microaggressions- the individual questions whether they should take offense to a particular microaggression
  •  The catch 22 of Responding to Microaggressions- the individual struggles with how to address the offender.  This dilemma causes the individual to question whether they are unintentionally being attacked.

Identity development models begin when?

Data records, as found in the file:
~~~
<w>
This record from the Open Molecules 2025 dataset describes the molecule C7H17N. The level of theory is ωB97M-V with the def2-TZVPD basis set.

**HOMO energy**: -7.9 eV
**Structure (SMILES)**: CCCCNC(C)C
**Charge**: 0

CARTESIAN COORDINATES (ANGSTROEM)
C 2.014 -2.588 0.699
C 0.583 -3.005 0.588
C -0.343 -1.709 0.620
C -0.412 -0.705 -0.642
N -1.160 0.565 -0.049
C -0.981 1.958 -0.387
C -0.460 2.802 0.885
C -0.103 2.375 -1.605
H 2.501 -2.997 1.624
H 2.166 -1.537 0.698
H 2.513 -2.834 -0.200
H 0.302 -3.618 1.471
H 0.324 -3.526 -0.507
H -0.338 -1.396 1.626
H -1.345 -2.102 0.383
H -0.964 -0.912 -1.592
H 0.586 -0.312 -0.884
H -2.070 0.390 0.237
H -1.997 2.434 -0.576
H -0.344 3.736 0.487
H 0.506 2.438 1.206
H -1.057 2.754 1.765
H 0.889 2.594 -1.357
H -0.494 3.452 -2.091
H -0.315 1.744 -2.401

---

<x>
This record from the Open Molecules 2025 dataset describes the molecule C7H17N. The level of theory is ωB97M-V with the def2-TZVPD basis set.

**HOMO energy**: -8.4 eV
**Structure (SMILES)**: CCCN[C@@H](C)CC
**Charge**: 0

CARTESIAN COORDINATES (ANGSTROEM)
C 0.210 1.467 -3.417
C -0.627 1.716 -1.999
C 0.245 1.416 -0.889
N 0.386 -0.176 -0.501
C 0.284 -0.384 1.047
C -1.208 0.099 1.320
C 0.276 -1.916 1.488
C 0.629 -2.271 2.903
H 0.797 2.257 -3.634
H 0.812 0.551 -3.095
H -0.409 1.158 -4.189
H -0.923 2.741 -1.983
H -1.568 1.191 -2.133
H 0.161 1.896 0.048
H 1.314 1.717 -1.093
H -0.336 -0.753 -0.844
H 1.040 0.109 1.543
H -1.959 -0.657 1.444
H -1.508 0.897 0.678
H -1.271 0.822 2.201
H 0.919 -2.412 0.798
H -0.789 -2.212 1.291
H 0.192 -3.161 3.120
H 0.257 -1.453 3.579
H 1.720 -2.226 3.063

---

Energies relative to the minimum, kJ/mol: <w> 31.3; <x> 0.0

---

<w>
This record from the Open Molecules 2025 dataset describes the ion C3H4NO3 with charge +1. The level of theory is ωB97M-V with the def2-TZVPD basis set.

**HOMO energy (alpha / beta)**: -14.6 / -14.6 eV
**Structure (SMILES)**: C[N+](=O)OC=C=O
**Charge**: +1

CARTESIAN COORDINATES (ANGSTROEM)
C 1.649 -0.006 0.310
N 0.664 -1.059 -0.055
O 0.931 -2.237 0.047
O -0.620 -0.711 -0.262
C -1.320 0.600 -0.398
C -2.589 0.626 0.024
O -3.667 0.773 0.264
H 1.056 0.969 0.711
H 2.258 0.197 -0.605
H 2.479 -0.447 0.940
H -0.840 1.297 -0.976

---

<x>
This record from the Open Molecules 2025 dataset describes the ion C3H4NO3 with charge +1. The level of theory is ωB97M-V with the def2-TZVPD basis set.

**HOMO energy (alpha / beta)**: -14.1 / -14.1 eV
**Charge**: +1

CARTESIAN COORDINATES (ANGSTROEM)
C -1.851 -0.723 -0.209
C 0.805 0.480 0.371
C 0.678 -0.795 -0.344
N -0.105 1.431 -0.263
O -2.950 -0.491 0.012
O -0.548 2.331 0.367
O -0.765 -1.247 -0.356
H 0.702 0.375 1.506
H 1.680 1.000 0.067
H 1.133 -0.735 -1.375
H 1.220 -1.625 0.226

---

Energies relative to the minimum, kJ/mol: <w> 181.3; <x> 0.0

---

<w>
This record from the Open Molecules 2025 dataset describes the molecule C3H5NOS2. The level of theory is ωB97M-V with the def2-TZVPD basis set.

**HOMO energy**: -9.0 eV
**Structure (SMILES)**: CSN(C=O)C=S
**Charge**: 0
~~~
The data records stop here:



What is Microaggressions?

Brief and commonplace daily verbal or behavioral and environmental indignities whether intentional or unintentional that communicate hostile, derogatory, or negative racial slights and insults to the target person or group


Ruiz made several underlying assumptions based on case studies of Latino/Hispanic clients. What are they?

  • Culture-specific explanation for identity for Latino/Hispanic clients
  • Marginal status of Hispanics/Latinos highly correlated with maladjustment
  • Negative experiences of forced assimilation are destructive
  • Having pride in one’s cultural heritage and ethnic identity as positively correlated with mental health
  • Price in one’s ethnicity affords the Latino/Hispanic individual greater freedom in expressing his or her cultural and ethnic heritage

What are four of the major themes of sexual orientation microaggressions

  • Assumptions that all LGBTQ  individuals are the same
  • Expression of heteronormative assumption that LGBTQ individuals need psychotherapeutic treatment ( basically saying that because an individual is Gay they are struggling with mental illness)
  • Expression of heteronormative bias ( occurs when heterosexist language is used to degrade LGBTQ persons) Consider the word queer
  • Assumption of sexual pathology ( assuming that LGBTQ are sexual deviants)

Describe integrative awareness stage

  • Developed inner sense of security & now can own & appreciate unique aspects of their culture as well as those of the dominant of U.S. culture 
  • Minority person has made a significant commitment to eliminating all forms of oppression & has a strong desire to so 

What is the cornerstone of racial identity development models?

Acknowledgment of sociopolitical influences in shaping minority identity


Describe the conformity stage.

  • Distinguished by their unequivocal preference for dominant cultural values over their own
  • Ex. White Americans = primary reference group
  • Lifestyle, value system, & cultural or physical characteristics highly valued, while other minority groups are disdain or hold low salience for person 

Describe the Feminist Identity Model. Are there differences or similarities between the stages in this model versus other identity models? What are they?

Based on the belief that the patriarchal aspect of US society is responsible for many of the problems faced by women.

Belief that women show a variety of reactions to subordinate status

  • Passive acceptance: accepts traditional gender roles and sees them as advantageous; considers men to be superior to women; unaware or in denial of discrimination
  • Revelation: events involving sexism occur that can’t be denied; personal awakening to prejudice, becomes angry, feels guilty for previously being unaware
  • Embeddedness-emanation: begins to form close relationships with other women; able to express emotions in a supportive environment
  • Synthesis: a positive feminist identity is fully developed; sexism is no longer considered to be the cause of all social and personal problems and other factors are considered
  • Active commitment: woman is now interested in turning her attention toward making societal changes

  • Three themes of disability microaggressions
  • Denial of personal identity
  • denial of privacy
  • helplessness- assuming that all individuals need help other

Describe Introspection Stage

  • Individuals begin to discover that level of intensity of their feelings in former stage is psychologically draining & does not permit them to really devote more crucial energies to understanding themselves or their own racial/cultural group
  • Minority individual experiences feelings of discontent & discomfort w/ group views that may be quite rigid to the resistance & immersion stage 

Which identity development model is the most influential and well documented?

The Cross black identity development model
